Contents >
- - -
#one
A relaxed AcGdSc2 crystal. Source: the Alexandria database, functional PBE.

Values from the calculation:
**M_tot**: 7.43 μB per cell
**DOS at the Fermi energy**: 1.46 states/eV/atom
**Calculated volume**: 124 Å³ per cell
**SG**: Fm-3m, No. 225

a = 5.594 Å, b = 5.594 Å, c = 5.594 Å
α = 60.00°, β = 60.00°, γ = 60.00°
Each line ends with the local moment (μB).
Positions (direct):
Sc: 0.250 0.250 0.250  0.01
Sc: 0.750 0.750 0.750  0.01
Ac: 0.500 0.500 0.500  -0.02
Gd: 0.000 0.000 0.000  7.16

#two
A relaxed AcGdSc2 crystal. Source: the Alexandria database, functional PBE.

Values from the calculation:
**M_tot**: 7.19 μB per cell
**DOS at the Fermi energy**: 1.35 states/eV/atom
**Calculated volume**: 123 Å³ per cell
**SG**: R-3m, No. 166

a = 3.581 Å, b = 3.581 Å, c = 11.262 Å
α = 80.85°, β = 80.85°, γ = 60.00°
Each line ends with the local moment (μB).
Positions (direct):
Sc: 0.748 0.748 0.757  -0.04
Sc: 0.252 0.252 0.243  -0.04
Ac: 0.500 0.500 0.500  -0.01
Gd: 0.000 0.000 0.000  7.12

#three
A relaxed AcGdSc2 crystal. Source: the Alexandria database, functional PBE.

Values from the calculation:
**M_tot**: 7.37 μB per cell
**DOS at the Fermi energy**: 1.42 states/eV/atom
**Calculated volume**: 124 Å³ per cell
**SG**: P4/mmm, No. 123

a = 3.988 Å, b = 3.988 Å, c = 7.775 Å
α = 90.00°, β = 90.00°, γ = 90.00°
Each line ends with the local moment (μB).
Positions (direct):
Sc: 0.000 0.000 0.771  0.01
Sc: 0.000 0.000 0.229  0.01
Ac: 0.500 0.500 0.500  -0.04
Gd: 0.500 0.500 0.000  7.16

The most stable structure shown above is #three; the least stable is #two.

----------

(1)
Computed, not measured: a geometry-optimized CaNdDyEr structure at the PBE-GGA level of DFT.

For the calculated volume, the calculation gives 544.7 Å³ per cell. The crystal system is cubic. For the mass density, the calculation gives 6.3 g/cm³. The total energy is -3.845 eV per atom.

The structure belongs to space group F-43m (No. 216); the cell edges are 8.167, 8.167 and 8.167 Å and the angles 90.00°, 90.00° and 90.00°. The asymmetric unit holds Ca at (0.000, 0.000, 0.000), Nd at (0.250, 0.250, 0.250), Dy at (0.250, 0.250, 0.750) and Er at (0.000, 0.000, 0.500).

=====

(2)
Computed, not measured: a geometry-optimized Pm12Nd3In structure at the PBE-GGA level of DFT.

For the calculated volume, the calculation gives 537.2 Å³ per cell. The crystal system is tetragonal. For the mass density, the calculation gives 7.1 g/cm³. The total energy is -4.674 eV per atom.

The structure belongs to space group P4/mmm (No. 123); the cell edges are 5.092, 5.092 and 20.716 Å and the angles 90.00°, 90.00° and 90.00°. The asymmetric unit holds Pm at (0.000, 0.000, 0.000), Pm at (0.000, 0.000, 0.244), Pm at (0.000, 0.000, 0.500), Pm at (0.000, 0.500, 0.119), Pm at (0.000, 0.500, 0.373), Nd at (0.500, 0.500, 0.247), Nd at (0.500, 0.500, 0.500) and In at (0.500, 0.500, 0.000).

=====

(3)
Computed, not measured: a geometry-optimized LiAl6W structure at the PBE-GGA level of DFT.

For the calculated volume, the calculation gives 256.1 Å³ per cell. The crystal system is tetragonal. For the mass density, the calculation gives 4.6 g/cm³. The total energy is -4.732 eV per atom.

The structure belongs to space group I4/mmm (No. 139); the cell edges are 4.725, 4.725 and 11.472 Å and the angles 90.00°, 90.00° and 90.00°. The asymmetric unit holds Li at (0.000, 0.000, 0.000), Al at (0.000, 0.000, 0.266), Al at (0.000, 0.500, 0.118) and W at (0.000, 0.000, 0.500).

=====

(4)
Computed, not measured: a geometry-optimized PdRuS2 structure at the PBE-GGA level of DFT.

For the calculated volume, the calculation gives 210.3 Å³ per cell. The value obtained for the uncorrected formation energy is 0.224 eV/atom. The crystal system is trigonal. For the mass density, the calculation gives 6.4 g/cm³. The total energy is -5.457 eV per atom. The energy above the most stable polymorph in this dataset is 0.404 eV per atom.
- - -

Assignment >
What is needed: write out the whole of the lines earlier on verbatim.

Response >
#one
A relaxed AcGdSc2 crystal. Source: the Alexandria database, functional PBE.

Values from the calculation:
**M_tot**: 7.43 μB per cell
**DOS at the Fermi energy**: 1.46 states/eV/atom
**Calculated volume**: 124 Å³ per cell
**SG**: Fm-3m, No. 225

a = 5.594 Å, b = 5.594 Å, c = 5.594 Å
α = 60.00°, β = 60.00°, γ = 60.00°
Each line ends with the local moment (μB).
Positions (direct):
Sc: 0.250 0.250 0.250  0.01
Sc: 0.750 0.750 0.750  0.01
Ac: 0.500 0.500 0.500  -0.02
Gd: 0.000 0.000 0.000  7.16

#two
A relaxed AcGdSc2 crystal. Source: the Alexandria database, functional PBE.

Values from the calculation:
**M_tot**: 7.19 μB per cell
**DOS at the Fermi energy**: 1.35 states/eV/atom
**Calculated volume**: 123 Å³ per cell
**SG**: R-3m, No. 166

a = 3.581 Å, b = 3.581 Å, c = 11.262 Å
α = 80.85°, β = 80.85°, γ = 60.00°
Each line ends with the local moment (μB).
Positions (direct):
Sc: 0.748 0.748 0.757  -0.04
Sc: 0.252 0.252 0.243  -0.04
Ac: 0.500 0.500 0.500  -0.01
Gd: 0.000 0.000 0.000  7.12

#three
A relaxed AcGdSc2 crystal. Source: the Alexandria database, functional PBE.

Values from the calculation:
**M_tot**: 7.37 μB per cell
**DOS at the Fermi energy**: 1.42 states/eV/atom
**Calculated volume**: 124 Å³ per cell
**SG**: P4/mmm, No. 123

a = 3.988 Å, b = 3.988 Å, c = 7.775 Å
α = 90.00°, β = 90.00°, γ = 90.00°
Each line ends with the local moment (μB).
Positions (direct):
Sc: 0.000 0.000 0.771  0.01
Sc: 0.000 0.000 0.229  0.01
Ac: 0.500 0.500 0.500  -0.04
Gd: 0.500 0.500 0.000  7.16

The most stable structure shown above is #three; the least stable is #two.

----------

(1)
Computed, not measured: a geometry-optimized CaNdDyEr structure at the PBE-GGA level of DFT.

For the calculated volume, the calculation gives 544.7 Å³ per cell. The crystal system is cubic. For the mass density, the calculation gives 6.3 g/cm³. The total energy is -3.845 eV per atom.

The structure belongs to space group F-43m (No. 216); the cell edges are 8.167, 8.167 and 8.167 Å and the angles 90.00°, 90.00° and 90.00°. The asymmetric unit holds Ca at (0.000, 0.000, 0.000), Nd at (0.250, 0.250, 0.250), Dy at (0.250, 0.250, 0.750) and Er at (0.000, 0.000, 0.500).

=====

(2)
Computed, not measured: a geometry-optimized Pm12Nd3In structure at the PBE-GGA level of DFT.

For the calculated volume, the calculation gives 537.2 Å³ per cell. The crystal system is tetragonal. For the mass density, the calculation gives 7.1 g/cm³. The total energy is -4.674 eV per atom.

The structure belongs to space group P4/mmm (No. 123); the cell edges are 5.092, 5.092 and 20.716 Å and the angles 90.00°, 90.00° and 90.00°. The asymmetric unit holds Pm at (0.000, 0.000, 0.000), Pm at (0.000, 0.000, 0.244), Pm at (0.000, 0.000, 0.500), Pm at (0.000, 0.500, 0.119), Pm at (0.000, 0.500, 0.373), Nd at (0.500, 0.500, 0.247), Nd at (0.500, 0.500, 0.500) and In at (0.500, 0.500, 0.000).

=====

(3)
Computed, not measured: a geometry-optimized LiAl6W structure at the PBE-GGA level of DFT.

For the calculated volume, the calculation gives 256.1 Å³ per cell. The crystal system is tetragonal. For the mass density, the calculation gives 4.6 g/cm³. The total energy is -4.732 eV per atom.

The structure belongs to space group I4/mmm (No. 139); the cell edges are 4.725, 4.725 and 11.472 Å and the angles 90.00°, 90.00° and 90.00°. The asymmetric unit holds Li at (0.000, 0.000, 0.000), Al at (0.000, 0.000, 0.266), Al at (0.000, 0.500, 0.118) and W at (0.000, 0.000, 0.500).

=====

(4)
Computed, not measured: a geometry-optimized PdRuS2 structure at the PBE-GGA level of DFT.

For the calculated volume, the calculation gives 210.3 Å³ per cell. The value obtained for the uncorrected formation energy is 0.224 eV/atom. The crystal system is trigonal. For the mass density, the calculation gives 6.4 g/cm³. The total energy is -5.457 eV per atom. The energy above the most stable polymorph in this dataset is 0.404 eV per atom.